English C2 vocabulary 2T - others 2 Flashcards
No pasa un día sin que …
Seldom does a day go by that …
Seldom does a day go by without SO’s doing ST
Ni uno/a …
Not one …
Not one postcard did she send while she was traveling in Argentina
No quiero que haya …
I don’t want there to be …
I don’t want there to be any redouble over paying this bill
Enterrar a alguien, ponerlo a descansar
To lay SO to rest
She was laid to rest next to her husband
Traer algo a la memoria
To bring/call ST to mind
I can see his face, but I just can’t bring/call his name to mind
Realidad compleja, alejarse de los dogmas
Reality is so complex that we must move away from dogma
Llevar gobiernos razonables al espacio globalizado
To bring sensible governments to the global space
Donde va el poder, los gobiernos deben seguirlo
Where power goes, governments must follow
Compartes un destino con tus enemigos
You share a destiny with your enemies
Trabajar muy tarde por la noche
To burn the midnight oil
During that summit, the participants burnt the midnight oil in meetings
No preguntes por quien doblan las campanas, doblan por ti
Do not ask for whom the bell tolls, it tolls for thee
Estropear la diversión
To put a damper on ST
The accident put a damper on their holiday
Hay más de lo que parece en él/ello
There’s more to SO/ST than meets the eye
Initially Brian appears shy and introspective but there’s more to him than meets the eye
Ricos según Hemingway
The rich are different from you and me. They have more money
Pensar en imágenes
To think in pictures
Teenagers are not even sure of who they are
Where they fit in the world
Peer groups and external appearance tend to increase in importance
They feel insecure due to hormonal imbalances
El humor es útil para difuminar situaciones difíciles
Humour is useful to diffuse difficult situations
Reírte de los absurdos de la vida
To laugh at life absurdities
Mucho de los que llamamos humor tiene que ver con víctimas
Much that we call humour is victim related
Broma en el juzgado
Order in the court!
I’d like a sirloin steak and a paint of beer
Procedencia término “humor”
According to an ancient theory, there were four fluids in our body: blood, phlegm, bile and humour, which was responsible for the sense of well-being. Hence the term ‘sense of humour’
Hay muchos peces en el mar
There are plenty more fish in the sea
Me suena a chino
It’s all Greek to me
No poder hablar por que tienes la garganta seca
To have a frog in your throat
Funciona de maravilla (a veces por sorpresa)
It works like a charm
It is very easy to set up and use and it works like a charm
Desnudar tu alma
To bare your soul
I can’t understand these people baring their soul on TV
Casarse (INF)
To tie the knot
When is your sister going to tie the knot?
Tocar la fibra de alguien, causar impacto en alguien
To strike a chord with SO
His speech struck a chord with unemployed voters
A las puertas de la muerte
At death’s door
Tener tiempo libre para gastar
To have time on your hands
Your problem is that you have too much time on your hands
Ha llegado a ser visto como …
Has come to be seen/known as …
Estarías mejor haciendo algo
You’d be better off doing ST
You’d be better off not seeing me loose my temper
You’d be better off working for a bigger company
Mejor que hagas algo
You had better do ST
You’d better move your car immediately or else I’ll call the police
Estar echado boca abajo
To lie face downwards
He was lying face downwards on the pavement
De la mano/del brazo
Hand in hand/arm in arm
We were walking hand in hand
We were strolling arm in arm
Estar lleno de admiración por algo
To be full of admiration for ST
I am full of admiration for the changes you have made to your diet
Stevenson y los viajes
The Scottish writer, Robert Louis Stevenson, used to say that he travelled ‘not to go anywhere but to go’. He loved traveling for its own sake
No sea que, en caso de que
I said naught lest they see my anger
Lest anyone forget his name, we erect this monument to the late admiral
Como secuela de
In the aftermath of
In the aftermath of the hurricane, many people had to live in temporary accommodation
Entrar en situación de ruina
To fall into disrepair
The house has fallen into disrepair
Enarbolar la bandera de
To carry the torch of
The challenge before you now is to continue to carry the torch of pluralism forward
Cargar con la cruz de
To carry the cross of
Many people around us carry the cross of injustices
El anterior suelo firme está cambiando
Previously hard ground is shifting
Darle a algo/alguien un nuevo soplo de vida
To give ST/SO a new lease of life
What appeared to be an old law firm has been given a new lease of life
Si acaso, como mucho
If at all
Most new words sparkle briefly, if at all, and then fade away
Superar a alguien
Outdo SO
Coca Cola outdid itself this year
Contra toda adversidad
In the face of all adversity
La realización de todas las aspiraciones
To find the pot of gold at the end of the rainbow
Dirigir tu atención hacia
To turn/give your attention to
Por causa de interés
For interest’s sake
No pegar ojo
To not sleep a wink
I didn’t sleep a wink last night with all that noise
En el fondo, por naturaleza
**Calculated crystals, as found in the file**
+++
This entry pairs a crystal structure of HfSe2I4 with its theoretical powder XRD pattern. Radiation: Cu Kα, 1.54184 Å. Structure: a structure optimized by DFT (PBE).
Lines closer than 0.1° are merged.

```
data_HfSe2I4
_chemical_formula_sum 'Hf2 Se4 I8'
_cell_length_a 21.503
_cell_length_b 4.060
_cell_length_c 7.192
_cell_angle_alpha 90.00
_cell_angle_beta 101.63
_cell_angle_gamma 90.00
_symmetry_space_group_name_H-M 'C 1 2/m 1'
_symmetry_Int_Tables_number 12
_symmetry_space_group_name_Hall '-C 2y'
loop_
_atom_site_label
_atom_site_type_symbol
_atom_site_fract_x
_atom_site_fract_y
_atom_site_fract_z
_atom_site_occupancy
Hf1 Hf 0.000 0.000 0.000 1
Se1 Se 0.240 0.000 0.409 1
I1 I 0.057 0.500 0.272 1
I2 I 0.108 0.000 0.846 1
```

The 8 most intense peaks (15° ≤ 2θ ≤ 90°), sorted by position:
d = 5.376 Å, I 59, (2 0 1); d = 3.430 Å, I 69, (6 0 -1); d = 3.414 Å, I 64, (1 1 1); d = 3.280 Å, I 34, (3 1 -1); d = 3.026 Å, I 100, (3 1 1); d = 2.591 Å, I 58, (1 1 2); d = 2.029 Å, I 71, (0 2 0); d = 1.970 Å, I 49, (5 1 -3)

~~~~~

Record 1
Diffraction record for YMg6BO8. The PXRD pattern is calculated, not measured: it uses a GGA-PBE-relaxed structure and copper Kα.

Unit cell a=4.3777 b=4.3777 c=8.8969 alpha=90.00 beta=90.00 gamma=90.00
Element x y z (fractional)
1 Y 0.0000 0.0000 0.0000
2 Mg 0.0000 0.0000 0.5000
3 Mg 0.0000 0.5000 0.2617
4 Mg 0.0000 0.5000 0.7383
5 Mg 0.5000 0.0000 0.2617
6 Mg 0.5000 0.0000 0.7383
7 Mg 0.5000 0.5000 0.5000
8 B 0.5000 0.5000 0.0000
9 O 0.0000 0.0000 0.2600
10 O 0.0000 0.0000 0.7400
11 O 0.0000 0.5000 0.0000
12 O 0.0000 0.5000 0.5000
13 O 0.5000 0.0000 0.0000
14 O 0.5000 0.0000 0.5000
15 O 0.5000 0.5000 0.2709
16 O 0.5000 0.5000 0.7291

Main lines, by angle (10° ≤ 2θ ≤ 90°):
- 2θ 20.29, intensity 29.8
- 2θ 22.64, intensity 48.7
- 2θ 35.32, intensity 31.2
- 2θ 40.56, intensity 50.0
- 2θ 41.24, intensity 100.0
- 2θ 59.23, intensity 56.7
- 2θ 59.75, intensity 28.9
- 2θ 74.72, intensity 26.7



Record 2
Diffraction record for BiTeO4. The PXRD pattern is calculated, not measured: it uses a GGA-PBE-relaxed structure and copper Kα.

Unit cell a=7.0508 b=7.0508 c=10.4425 alpha=113.03 beta=113.03 gamma=47.31
Element x y z (fractional)
1 Bi 0.0000 0.0000 0.0000
2 Bi 0.2679 0.2791 0.8996
3 Bi 0.7209 0.7321 0.1004
4 Bi 0.9223 0.0777 0.5000
5 Te 0.1428 0.3994 0.3678
6 Te 0.4469 0.5491 0.7494
7 Te 0.4509 0.5531 0.2506
8 Te 0.6006 0.8572 0.6322
9 O 0.0407 0.3321 0.1586
10 O 0.1028 0.6937 0.1285
11 O 0.1631 0.6882 0.5880
12 O 0.2256 0.5702 0.8315
13 O 0.2395 0.1259 0.6544
14 O 0.3063 0.8972 0.8715
15 O 0.3118 0.8369 0.4120
16 O 0.4298 0.7744 0.1685
17 O 0.4448 0.3386 0.3316
18 O 0.5931 0.2522 0.0944
19 O 0.6029 0.1952 0.6372
20 O 0.6614 0.5552 0.6684
21 O 0.6679 0.9593 0.8414
22 O 0.7478 0.4069 0.9056
23 O 0.8048 0.3971 0.3628
24 O 0.8741 0.7605 0.3456

Main lines, by angle (10° ≤ 2θ ≤ 90°):
- 2θ 27.58, intensity 100.0
- 2θ 28.07, intensity 96.8
- 2θ 30.62, intensity 30.7
- 2θ 31.63, intensity 24.7
- 2θ 34.36, intensity 25.5
+++
At heart
She’s always been an animal lover at heart
Poner los ojos en algo/alguien por primera vez
To set eyes on SO/ST
I’ve never set eyes on him before
Considerar algo de gran/poca importancia
To set great/a lot/little store by ST
She’s setting a lot of store by this job interview
Mejorado con intensidad y rapidez
In leaps and bounds
Her Spanish has come on in leaps and bounds this year
Enterrar el hacha de guerra
To bury the hatchet
¡Es un dispositivo con una única función!
It’s a single function device!
Un niño de tres años no es medio niño de seis años
A three-year old isn’t half a six-year old
El fin justifica los medios
The end justifies the means
Interpretado estupendamente por …
Played superbly by …
Los problemas se esconden en los detalles
The devil is in the details
Algo parecido a …
ST along the lines of …
This House has heard comments along the lines of ‘the budget before us is small but good’
Cuando/si la cosa se pone realmente mal, como último recurso
When/if push comes to shove
Hacer de abogado del diablo
To play the devil’s advocate
Me dijeron que cerrase al salir
I was told to lock up when I left
No te parece?
Don’t you feel?
Otello en titulares
[Inserted here: crystal structures]
____________
[1]
Simulated powder X-ray diffraction pattern
Compound: MgCuSnP2
Radiation: Cu Kα (λ = 1.5418 Å)
Structure: DFT lattice parameters and positions (GGA-PBE)
No peak broadening, texture or thermal motion is included.

Largest 10 diffraction maxima, low angle first, 2θ = 5–70°:
| 2θ/deg | I/Imax |
| --- | --- |
| 17.50 | 24 |
| 24.32 | 100 |
| 24.84 | 41 |
| 33.88 | 31 |
| 35.42 | 54 |
| 42.46 | 21 |
| 43.43 | 44 |
| 49.82 | 40 |
| 50.96 | 19 |
| 62.61 | 20 |

Structural model:
a = 5.068 Å, b = 5.068 Å, c = 5.292 Å
α = 90.00°, β = 90.00°, γ = 90.00°
Space group P4/mmm (No. 123)
Symmetry-distinct sites (fractional):
Mg 0.000 0.000 0.000 x1
Cu 0.500 0.500 0.000 x1
Sn 0.000 0.000 0.500 x1
P 0.000 0.500 0.500 x2


[2]
Simulated powder X-ray diffraction pattern
Compound: Y2Al3Fe14
Radiation: Cu Kα (λ = 1.5418 Å)
Structure: DFT lattice parameters and positions (GGA-PBE)
No peak broadening, texture or thermal motion is included.

Largest 10 diffraction maxima, low angle first, 2θ = 5–70°:
| 2θ/deg | I/Imax |
| --- | --- |
| 30.20 | 12 |
| 32.58 | 13 |
| 36.39 | 46 |
| 41.04 | 33 |
| 42.27 | 45 |
| 42.76 | 100 |
| 44.18 | 27 |
| 47.99 | 32 |
| 49.28 | 11 |
| 69.87 | 16 |

Structural model:
a = 8.5516 Å, b = 8.5516 Å, c = 8.1996 Å
α = 90.00°, β = 90.00°, γ = 120.00°
Space group P6_3/mmc (No. 194)
Symmetry-distinct sites (fractional):
Y 0.0000 0.0000 0.2500 x2
Y 0.3333 0.6667 0.2500 x2
Al 0.0000 0.5000 0.0000 x6
Fe 0.0350 0.3564 0.7500 x12
Fe 0.1656 0.3311 0.0169 x12
Fe 0.3333 0.6667 0.6115 x4
____________
[End of the crystal structures]
Love-crazed immigrant kills senator’s daughter
Broma hombre conduciendo Ferrari
SO who’s driving a Ferrari is incredibly vulnerable and in need of love
Venirse la sala abajo
To bring the house down
The performance brought the house down last night
Cuando alguien hace algo, …
On doing ST, SO…
On finding a suitably desolate spot of their own, they drill a hole
Por mucho que …
For though …
For though ice-fishing may appear to be safe, it can be dangerous indeed
Estamos asistiendo al hecho de que …
We are witnessing the fact that …
Alguien se resbala con una piel de plátano
SO slips on a banana skin
[Inserted here: materials data]
........
No. 1
For Sc2TlReO8, a cell relaxed with GGA-PBE gives the computed powder XRD pattern in this record (CuKα).
Kinematic intensities with the Lorentz-polarization factor, no thermal factor.

Peak list (6 most intense, 5 to 70 degrees two-theta, most intense first)
2theta	intensity
32.61	100
18.58	89
25.91	58
26.87	53
50.11	39
51.22	38

Cell and atoms:
```
Sc2TlReO8
1.0
3.318 -3.439 0.000
3.318 3.439 0.000
0.000 0.000 6.711
Sc Tl Re O
2 1 1 8
Cartesian
0.000 0.000 1.658
0.000 0.000 5.053
3.318 0.000 3.356
3.318 0.000 0.000
1.246 0.000 3.356
1.399 0.000 0.000
3.318 1.331 1.344
3.318 1.331 5.367
3.318 -1.331 1.344
3.318 -1.331 5.367
5.237 0.000 0.000
5.390 0.000 3.356
```

No. 2
For Re3SeO12, a cell relaxed with GGA-PBE gives the computed powder XRD pattern in this record (CuKα).
Kinematic intensities with the Lorentz-polarization factor, no thermal factor.

Peak list (6 most intense, 5 to 70 degrees two-theta, most intense first)
2theta	intensity
21.50	100
17.81	42
33.42	29
12.71	27
26.55	26
38.80	14

Cell and atoms:
```
Re3SeO12
1.0
4.543 2.623 9.962
-4.543 2.623 9.962
0.000 -5.246 9.962
Re Se O
6 2 24
Cartesian
-1.165 -2.888 9.962
-2.624 -0.170 14.943
-1.919 2.453 9.962
1.459 -2.188 14.943
3.084 0.435 9.962
1.165 2.358 14.943
0.000 0.000 11.587
0.000 0.000 26.531
-0.302 -3.154 8.477
-4.102 0.631 14.565
-3.024 -1.534 16.155
-2.580 1.839 8.477
-1.963 -0.784 13.458
-0.184 -1.860 11.174
-3.007 -1.633 20.610
-1.519 1.089 11.174
-0.089 -1.826 15.629
1.505 -3.868 14.565
-1.537 0.990 15.629
-0.441 -1.992 19.547
1.661 -1.308 13.458
-1.505 1.378 19.547
1.702 0.771 11.174
0.302 2.092 13.458
2.883 1.315 8.477
2.841 -1.852 16.155
1.626 0.836 15.629
0.184 3.386 16.155
2.917 -1.787 20.610
1.946 0.614 19.547
0.089 3.420 20.610
2.597 3.237 14.565
```

No. 3
For Re2SiO, a cell relaxed with GGA-PBE gives the computed powder XRD pattern in this record (CuKα).
Kinematic intensities with the Lorentz-polarization factor, no thermal factor.

Peak list (4 most intense, 5 to 70 degrees two-theta, most intense first)
2theta	intensity
43.91	100
30.66	80
54.50	22
63.84	16

Cell and atoms:
```
Re2SiO
1.0
5.832 0.000 0.000
0.000 5.832 0.000
0.000 0.000 5.832
Re Si O
8 4 4
Cartesian
1.458 1.458 1.458
1.458 1.458 4.374
1.458 4.374 1.458
1.458 4.374 4.374
4.374 1.458 1.458
4.374 1.458 4.374
4.374 4.374 1.458
4.374 4.374 4.374
0.000 0.000 0.000
0.000 2.916 2.916
2.916 0.000 2.916
2.916 2.916 0.000
0.000 0.000 2.916
0.000 2.916 0.000
2.916 0.000 0.000
2.916 2.916 2.916
```

No. 4
For Sm3ReO8, a cell relaxed with GGA-PBE gives the computed powder XRD pattern in this record (CuKα).
Kinematic intensities with the Lorentz-polarization factor, no thermal factor.

Peak list (6 most intense, 5 to 70 degrees two-theta, most intense first)
2theta	intensity
29.61	100
29.04	30
28.33	23
51.83	17
29.21	16
43.07	14

Cell and atoms:
```
Sm3ReO8
1.0
7.416 0.000 0.000
0.000 6.149 0.000
-5.323 0.000 13.850
Sm Re O
12 4 32
Cartesian
-0.365 1.466 2.791
-3.026 1.609 9.715
-1.178 1.228 6.174
........
[End of the materials data]
Alcanzar la redención a través de …
To achieve redemption through …
He achieved redemption through sense of humour